
  • European representative

    If you do not have any EEA offices, branches or other establishments, you should consider whether you are processing personal data of individuals in the EEA that relates to either:

    • offering goods or services to individuals in the EEA; or
    • monitoring the behaviour of individuals in the EEA.

[Here the page breaks off for materials data]
-- begin --
Li7Mn4CoO12: theoretical powder diffractogram (λ = 1.5418 Å (Cu Kα)), based on a PBE+U-relaxed structure.
Lines closer than 0.1° are merged.

Atomic structure:
Cell: 5.083 5.935 7.769 Å, 102.43 96.06 106.34°
Sites, in units of the cell vectors:
1 Li 0.000 0.000 0.000
2 Li 0.002 0.324 0.342
3 Li 0.009 0.485 0.012
4 Li 0.017 0.152 0.690
5 Li 0.019 0.827 0.343
6 Li 0.508 0.076 0.848
7 Li 0.997 0.657 0.685
8 Mn 0.501 0.570 0.848
9 Mn 0.507 0.238 0.517
10 Mn 0.508 0.744 0.516
11 Mn 0.514 0.917 0.175
12 Co 0.508 0.401 0.171
13 O 0.272 0.306 0.925
14 O 0.273 0.432 0.607
15 O 0.283 0.777 0.941
16 O 0.285 0.109 0.273
17 O 0.286 0.959 0.585
18 O 0.293 0.643 0.269
19 O 0.725 0.520 0.438
20 O 0.726 0.838 0.756
21 O 0.727 0.371 0.754
22 O 0.737 0.712 0.083
23 O 0.741 0.049 0.420
24 O 0.743 0.182 0.104

The 10 most intense peaks (5 to 70 degrees two-theta), sorted by position:
| (hkl) | 2theta | d (Å) | Rel. int. |
| --- | --- | --- | --- |
| 1 0 0 | 18.5 | 4.800 | 100 |
| 0 2 -2 | 35.2 | 2.550 | 15 |
| 0 0 3 | 36.1 | 2.490 | 25 |
| 1 2 -2 | 42.9 | 2.109 | 31 |
| -2 2 1 | 43.8 | 2.066 | 58 |
| 1 2 1 | 47.8 | 1.905 | 8 |
| -3 2 1 | 57.9 | 1.593 | 10 |
| 1 -4 1 | 62.7 | 1.483 | 16 |
| 2 2 1 | 63.3 | 1.470 | 15 |
| -1 2 4 | 64.2 | 1.450 | 8 |

=====

Starting from the GGA+U geometry in Alexandria, the X-ray diffraction stick pattern of Li3P3WO11 was simulated for Cu Kα (λ = 1.5418 Å).

Largest 8 diffraction maxima, in order of rising 2θ, 10° ≤ 2θ ≤ 90°:
two_theta, intensity, h k l
11.51, 40, 0 0 1
13.14, 95, 0 1 -1
14.26, 100, 1 0 0
19.20, 44, 1 1 -1
21.94, 30, 0 1 -2
23.15, 73, 0 2 0
25.00, 28, 1 -2 0
29.38, 42, 0 1 2

```
data_Li3P3WO11
_cell_length_a 6.3861
_cell_length_b 8.2555
_cell_length_c 8.3077
_cell_angle_alpha 108.95
_cell_angle_beta 98.91
_cell_angle_gamma 96.62
_symmetry_space_group_name_H-M 'P 1'
_symmetry_Int_Tables_number 1
loop_
_symmetry_equiv_pos_as_xyz
'x,y,z'
loop_
_atom_site_label
_atom_site_type_symbol
_atom_site_fract_x
_atom_site_fract_y
_atom_site_fract_z
_atom_site_occupancy
Li1 Li 0.0893 0.3266 0.2919 1
Li2 Li 0.0927 0.7860 0.4716 1
Li3 Li 0.2197 0.9779 0.9860 1
Li4 Li 0.7803 0.0221 0.0140 1
Li5 Li 0.9073 0.2140 0.5284 1
Li6 Li 0.9107 0.6734 0.7081 1
P1 P 0.1222 0.2800 0.9235 1
P2 P 0.3654 0.6179 0.7399 1
P3 P 0.3768 0.1459 0.3857 1
P4 P 0.6232 0.8541 0.6143 1
P5 P 0.6346 0.3821 0.2601 1
P6 P 0.8778 0.7200 0.0765 1
W1 W 0.4084 0.7227 0.1825 1
W2 W 0.5916 0.2773 0.8175 1
O1 O 0.0487 0.1849 0.0425 1
O2 O 0.0772 0.7191 0.2132 1
O3 O 0.1517 0.1475 0.4178 1
O4 O 0.1701 0.6297 0.6178 1
O5 O 0.2454 0.4641 0.0340 1
O6 O 0.2731 0.1715 0.8191 1
O7 O 0.3731 0.7401 0.9272 1
O8 O 0.3954 0.4345 0.7253 1
O9 O 0.3962 0.9903 0.2254 1
O10 O 0.4210 0.3116 0.3217 1
O11 O 0.4353 0.8236 0.4604 1
O12 O 0.5647 0.1764 0.5396 1
O13 O 0.5790 0.6884 0.6783 1
-- stop --

    If you are carrying out such processing, and intend to continue after the end of the transition period, you will need to consider whether you must appoint a European representative.

    If you would like to appoint me as your European representative, please contact me.

  • Internal auditor

    I have many years of experience in conducting various internal audits. That is why I can support and guide your organizations very well in conducting internal audits. If you want to carry out these internal audits yourself, I can train your employees in conducting internal audits.
    In this way you kill two birds with one stone. The internal audits are guaranteed to be of good quality and the internal employee is trained to perform their own internal audits effectively and efficiently.
    If you want to know more about this, please contact me via the contact form.

  • Privacy Officer (PO)

    Where the CISO is responsible for the information security policy, the PO (also called legal adviser on privacy), who in this case is not FG, is responsible for designing and (if present) monitoring the privacy policy within your organisation. In addition, the PO can support in mapping out the risks, for example by carrying out a Privacy Impact Assessment (PIA). When the privacy policy is established and the PIA's are executed, an implementation plan can be drawn up. Just like the CISO, he or she has an advisory role towards the departments and can answer questions like: how should we share this data? What rules should we abide by? What measures should we impose on the external party?

(Next to the entry, the page also holds records of crystals)
........
# 1
SbPbS2: simulated powder diffraction line list (λ = 1.5418 Å (Cu Kα)), based on DFT lattice parameters and positions (GGA-PBE).
Lines closer than 0.1° are merged.

Structure:
Cell: 4.2934 3.9640 11.9483 Å, 90.00 90.00 90.00°
Atoms (fractional coordinates):
Sb 0.0000 0.0000 0.0000
Sb 0.0000 0.5000 0.5000
Pb 0.5000 0.0000 0.7493
Pb 0.5000 0.5000 0.2493
S 0.0000 0.0000 0.2127
S 0.0000 0.5000 0.7127
S 0.5000 0.0000 0.5084
S 0.5000 0.5000 0.0084

Peak list (10 most intense, 10° ≤ 2θ ≤ 80°, in order of falling intensity)
hkl  2theta  d (Å)  intensity
1 1 1  31.6  2.830  100.0
1 0 2  25.5  3.486  68.8
0 0 4  29.9  2.987  49.6
1 1 3  38.3  2.351  48.1
0 1 1  23.6  3.762  46.8
1 1 5  49.3  1.847  29.4
2 0 0  42.1  2.147  20.8
0 1 3  31.9  2.810  20.4
2 0 4  52.5  1.743  20.3
1 2 2  53.2  1.723  20.1

# 2
SbPb3S4: simulated powder diffraction line list (λ = 1.5418 Å (Cu Kα)), based on DFT lattice parameters and positions (GGA-PBE).
Lines closer than 0.1° are merged.

Structure:
Cell: 4.2115 4.2734 17.5511 Å, 90.00 93.56 90.00°
Atoms (fractional coordinates):
Sb 0.0000 0.0000 0.0000
Pb 0.2726 0.5000 0.1709
Pb 0.4919 0.5000 0.8357
Pb 0.8085 0.0000 0.3381
S 0.0021 0.0000 0.8552
S 0.2924 0.5000 0.3275
S 0.5750 0.5000 0.9897
S 0.7442 0.0000 0.1823

Peak list (10 most intense, 10° ≤ 2θ ≤ 80°, in order of falling intensity)
hkl  2theta  d (Å)  intensity
0 0 2  10.1  8.759  100.0
0 1 3  25.8  3.449  95.4
1 1 0  29.8  2.997  85.2
1 1 1  30.5  2.932  73.7
0 0 6  30.6  2.920  63.1
0 2 0  42.3  2.138  56.4
1 0 -3  25.4  3.512  50.8
1 1 -2  31.1  2.875  45.6
1 0 -2  22.9  3.885  37.2
1 1 -5  38.7  2.329  34.4

# 3
Sb2Pb2S5: simulated powder diffraction line list (λ = 1.5418 Å (Cu Kα)), based on DFT lattice parameters and positions (GGA-PBE).
Lines closer than 0.1° are merged.

Structure:
Cell: 20.4587 4.0070 11.3782 Å, 90.00 90.00 90.00°
Atoms (fractional coordinates):
Sb 0.0268 0.2500 0.2029
Sb 0.1314 0.2500 0.8788
Sb 0.3686 0.7500 0.3788
Sb 0.4732 0.7500 0.7029
Sb 0.5268 0.2500 0.2971
Sb 0.6314 0.2500 0.6212
Sb 0.8686 0.7500 0.1212
Sb 0.9732 0.7500 0.7971
Pb 0.0955 0.7500 0.4988
Pb 0.2069 0.7500 0.1688
Pb 0.2931 0.2500 0.6688
Pb 0.4045 0.2500 0.9988
Pb 0.5955 0.7500 0.0012
Pb 0.7069 0.7500 0.3312
Pb 0.7931 0.2500 0.8312
Pb 0.9045 0.2500 0.5012
S 0.0204 0.2500 0.6384
S 0.0764 0.7500 0.0681
S 0.1297 0.2500 0.3148
S 0.1688 0.7500 0.7487
S 0.2326 0.2500 0.9922
S 0.2674 0.7500 0.4922
S 0.3312 0.2500 0.2487
S 0.3703 0.7500 0.8148
S 0.4236 0.2500 0.5681
S 0.4796 0.7500 0.1384
S 0.5204 0.2500 0.8616
S 0.5764 0.7500 0.4319
S 0.6297 0.2500 0.1852
S 0.6688 0.7500 0.7513
S 0.7326 0.2500 0.5078
S 0.7674 0.7500 0.0078
S 0.8312 0.2500 0.2513
S 0.8703 0.7500 0.6852
S 0.9236 0.2500 0.9319
S 0.9796 0.7500 0.3616

Peak list (10 most intense, 10° ≤ 2θ ≤ 80°, in order of falling intensity)
hkl  2theta  d (Å)  intensity
4 1 2  32.5  2.758  100.0
1 0 3  23.9  3.728  85.6
3 1 2  30.3  2.953  78.5
3 1 1  27.0  3.306  64.2
2 1 1  25.1  3.546  57.3
1 1 3  32.8  2.730  50.5
........

    Do you need support in setting up this function within your organisation? Then I can help you. Together with you, I will look at what the privacy policy for your organisation should look like. In addition, I give advice on how the activities can be secured in your organisation.

    If you want to know more, please contact me.

  • The Chief Information Security Officer (CISO)

    The Chief Information Security Officer (CISO) is the spider in the web when it comes to information security within your organization. The CISO is responsible for implementing and supervising the information security policy. The CISO has a central role in managing all processes related to it. If you are or want to be certified against ISO 27001 or NEN 7510, the CISO must comply with the measures from that standard when controlling the processes.

    The terms Chief Information Security Officer (CISO), Information Security Officer (ISO), and Security Officer (SO) are often used interchangeably. Is there a difference between these roles? Yes and no. The difference is in the description of the tasks and responsibilities associated with the role. From the above description you can see that for information security implementation and supervision lie with the same officer, namely the SO. If you want to pull this apart, it is often decided to place one or more ISOs, or SOs, under the CISO.

    Would you like to have fulfilled this role within your organization, but do you (currently) have no one available for it? Or do you not know how to start with this? Then I can offer a solution. I can advise you on the implementation of information security within your organization. I pay attention to the type and size of the organization. But above all on how supervision can be guaranteed in the future.
    Incidentally, it is important to remember that the ultimate responsibility for implementation never rests with Olthof Support (or any other CISO, PO, FG), but always in line.

    If you would like to know more about hiring me in the role of Chief Information Security Officer , please contact me.

  • Data Protection Officer (DPO)

    The Dutch Data Protection Authority (AP) is obliged to handle complaints and reports of data breaches. Research has shown that there are more and more of these in the Netherlands. This takes up a lot of the AP's time. As a result, the AP no longer has time for its core task: tackling deliberate violations.

    To make more time available for this, the AP encourages organizations to appoint a Data Protection Officer (DPO). Complaints and data breaches can then be dealt with quickly. In practice that will be the work of the DPO.

    The DPO is responsible for supervising compliance with privacy laws and regulations, listing and maintaining data processing operations and dealing with questions and complaints from people inside and outside your organization. In addition, the DPO can support the development of internal regulations, give tailored advice on privacy and provide input for the drawing up or adjustment of codes of conduct.

    In short, when you appoint a DPO, you minimize the chance of a fine. You will show as an organization that you take privacy seriously.

    The problem is, however, that for smaller organizations it's usually too big an investment to appoint a DPO. Above all, it requires considerable effort to keep up with case law and additional legislation. That is why Olthof Support offers the services of an external FG. He or she will keep you informed of the current state of affairs and check whether everything is in order. The FG also conducts the annual internal audit to show that privacy care is well embedded in the organisation.

    If you want to know more about this service, you can request a quote directly.